Orange Is the New Black is an American comedy-drama series[1][2] created by Jenji Kohan and first released on Netflix on July 11, 2013.[3] The series, produced by Tilted Productions in association with Lionsgate Television, is based on Piper Kerman's memoir, Orange Is the New Black: My Year in a Women's Prison, about her experiences in prison.[4] The second season premiered on June 6, 2014 at 3:00 am EDT.[5][6] The series has been renewed for a third season.[7] On July 10, 2014, the series received 12 Primetime Emmy Award nominations.
Orange Is the New BlackはアメリカのJenji Kohanが作成したコメディドラマシリーズ[1][2]で、2013年7月11日にNetflixで初放映された。[3] そのシリーズはLionsgate Televisionとの連携によりTilted Productionsがプロデュース、Orange Is the New Black-私が女子刑務所で過ごした1年間という自信の刑務所での経験によりPiper Kerman's の回想録を元に作られた。[4] 2014年6月6日午前3時(米国東部夏時間)にシーズン2の初日を迎えた。[5][6] シリーズはシーズン3に突入。[7] 2014年7月10日、シリーズはエミー賞ゴールデンアワー部門において12のノミネートに輝いた。
The series revolves around Piper Chapman (Taylor Schilling), a bisexual woman living in New York City who is sentenced to 15 months in a women's federal prison (operated by the Federal Department of Corrections, a fictionalized version of the Federal Bureau of Prisons), for transporting a suitcase full of drug money to her former girlfriend, Alex Vause (Laura Prepon), who is an international drug smuggler/mule. The offense occurred ten years prior to the start of the series, and in that time Piper had moved on to a quiet, law-abiding life among New York's upper middle class. In prison, Piper is reunited with Alex and they re-examine their relationship and deal with their fellow inmates.
このシリーズはニューヨークで暮らすレズビアンの女性が、(国際麻薬不法所持/密輸を行っていたかつてのガールフレンドAlex Vause (Laura Prepon))に宛ててスーツケースに一杯詰まった麻薬資金を届けた罪で、(連邦刑務所局をフィクション化させた連邦更生部門により運営されているとする)連邦女子刑務所に15ヶ月間の服役を命ぜられる主人公Piper Chapman (Taylor Schilling)の周囲で展開する。その不法行為はシリーズ開始から10年前に遡り、当時彼女はニューヨークの中上流階級で静かで合法的な人生へと切り替えていた。刑務所ではPiperがAlexが再開して相互の関係を見つめなおし収監期間を過ごしていく。
Orange Is the New Black has received critical acclaim. For Season 1, Metacritic gives a score of 79/100 based on reviews from 31 critics, indicating generally favorable reviews.[24] Rotten Tomatoes gives a score of 93%, with an average rating of 8.2/10 based on 40 reviews. The site's consensus is "Orange Is the New Black is a sharp mix of black humor and dramatic heft, with interesting characters and an intriguing flashback structure.
(Next to the article, the page also holds calculated crystals)
=====
Entry 1:
Starting from a DFT-relaxed cell (PBE, OQMD), the powder XRD pattern of LaPr2GaCl3 was computed for CuKα.
Intensities are scaled so that the largest is 1000.

Crystal structure
abc: 5.8937 5.8937 5.9243
angles: 90.00 90.00 90.00
Space group P4/mmm (No. 123)
Inequivalent atoms, fractional coordinates:
La 0.0000 0.0000 0.0000
Pr 0.0000 0.5000 0.5000
Ga 0.0000 0.0000 0.5000
Cl 0.0000 0.5000 0.0000
Cl 0.5000 0.5000 0.5000

The 10 most intense peaks (2θ = 10–90°), in order of rising 2θ:
2θ 15.0, rel. 679, hkl 0 0 1
2θ 26.1, rel. 440, hkl 1 1 1
2θ 30.2, rel. 507, hkl 0 0 2
2θ 30.3, rel. 1000, hkl 2 0 0
2θ 34.0, rel. 262, hkl 2 0 1
2θ 43.3, rel. 733, hkl 2 0 2
2θ 43.4, rel. 364, hkl 2 2 0
2θ 53.8, rel. 381, hkl 2 2 2
2θ 71.6, rel. 318, hkl 4 2 0
2θ 79.6, rel. 237, hkl 4 2 2


Entry 2:
Starting from a DFT-relaxed cell (PBE, OQMD), the powder XRD pattern of Ba3H12Pd2 was computed for CuKα.
Intensities are scaled so that the largest is 1000.

Crystal structure
abc: 5.3841 5.3841 8.7999
angles: 90.00 90.00 120.00
Space group P-3m1 (No. 164)
Inequivalent atoms, fractional coordinates:
Ba 0.0000 0.0000 0.0000
Ba 0.3333 0.6667 0.6339
H 0.0389 0.5195 0.1201
H 0.1812 0.3624 0.3414
Pd 0.3333 0.6667 0.2320

The 10 most intense peaks (2θ = 10–90°), in order of rising 2θ:
2θ 21.6, rel. 587, hkl 0 1 1
2θ 27.9, rel. 1000, hkl 0 1 2
2θ 33.3, rel. 856, hkl 1 1 0
2θ 36.2, rel. 365, hkl 1 0 3
2θ 44.0, rel. 296, hkl 2 0 2
2θ 45.7, rel. 141, hkl 1 1 3
2θ 50.0, rel. 144, hkl 0 2 3
2θ 56.2, rel. 274, hkl 1 2 2
2θ 59.5, rel. 159, hkl 3 0 0
2θ 61.4, rel. 156, hkl 2 1 3


Entry 3:
Starting from a DFT-relaxed cell (PBE, OQMD), the powder XRD pattern of MgZnSn2N4 was computed for CuKα.
Intensities are scaled so that the largest is 1000.

Crystal structure
abc: 4.7981 4.7981 9.6259
angles: 90.00 90.00 90.00
Space group I-4 (No. 82)
Inequivalent atoms, fractional coordinates:
Mg 0.0000 0.0000 0.0000
Zn 0.0000 0.5000 0.2500
Sn 0.0000 0.0000 0.5000
Sn 0.0000 0.5000 0.7500
N 0.2488 0.2507 0.1253

The 10 most intense peaks (2θ = 10–90°), in order of rising 2θ:
2θ 20.7, rel. 283, hkl 1 0 1
2θ 32.3, rel. 1000, hkl 1 1 2
2θ 37.4, rel. 118, hkl 0 0 4
2θ 37.5, rel. 233, hkl 2 0 0
2θ 43.2, rel. 91, hkl 2 1 1
2θ 54.0, rel. 437, hkl 2 2 0
2θ 64.2, rel. 138, hkl 1 1 6
2θ 64.4, rel. 275, hkl 3 1 2
2θ 67.6, rel. 93, hkl 2 2 4
2θ 88.7, rel. 121, hkl 3 1 6


Entry 4:
Starting from a DFT-relaxed cell (PBE, OQMD), the powder XRD pattern of Sm2Sn2O7 was computed for CuKα.
Intensities are scaled so that the largest is 1000.

Crystal structure
abc: 10.5339 10.5339 10.5339
angles: 90.00 90.00 90.00
Space group Fd-3m (No. 227, origin choice 2)
Inequivalent atoms, fractional coordinates:
Sm 0.0000 0.0000 0.0000
Sn 0.0000 0.0000 0.5000
O 0.0864 0.3750 0.8750
O 0.1250 0.1250 0.1250

The 10 most intense peaks (2θ = 10–90°), in order of rising 2θ:
2θ 14.6, rel. 10, hkl 1 1 1
2θ 29.4, rel. 1000, hkl 2 2 2
2θ 34.0, rel. 334, hkl 4 0 0
2θ 37.2, rel. 23, hkl 3 3 1
2θ 48.9, rel. 485, hkl 4 4 0
=====
Orange Is the New Blackは批評家の賞賛を浴びた。一般的に好意的なレビューを寄せた31人の批評を元に、Metacritic はシーズン1を100点中79点と評価した。[24]Rotten Tomatoes は93%のスコアを与え、40のレビューを基準に平均10点満点中8.2点と評価。当サイトの総意として「Orange Is the New Blackは鋭いブラックユーモアとドラマチックな勢いを兼ね備え、面白いキャラクターとぞくぞくするようなフラッシュバック構成によりできている。」と評価された。
I have a favour to ask you. H is a baby doll I am going to give my friend as a gift. Please set H's weight as 6.7 pounds as my friend asked me so. Also, I am sorry to bother you, but when you send me the picture after the doll's hair is done, would you please send me a photo of the doll taken from right in the front so that the figure would appear in bilateral symmetry. As for my friend, the photo of the doll you sent me the other day appears as if it's mouth is distorted. I tried to convince the friend it is bilaterally symmetric, but I failed to do so. Sorry for asking you this in your busyness. Looking forward to hearing from you.
Grazie per il contatto rapido. Dal momento che il mio account Amazon è in fase di screening (non è perché io sono in difficoltà), non è disponibile per la visualizzazione, per ora. La proiezione sarà effettuata in poche settimane e sarà disponibile per la vostra conferma. Se volete ordinare qualcosa nel frattempo, potrei farli pronto per voi. Per questi due elementi che si desidera ordinare, io confermare la disponibilità così si prega di attendere per un po '. Penso che ci siano dojinshi per Transformer in Giappone, anche. Vuoi che io per cercare altre dojinshi, troppo?
※武道館ライヴのプレゼントBOXについて※9月12日(金)日本武道館公演会場にはプレゼントBOXの設置はしない事となりました。尚、スタッフがお預かりする事も出来ませんのでメンバーへのプレゼントは、KISSme JAPAN宛に送って頂けますようお願い致します。
*Present BOX at Budokan live*It is determined that the present BOX will not be situated for the performance at Nihon Budokan on Friday, September 12.If you wish to give presents to the members, since the staffs cannot take care of them, please send them to KISSme Japan.
札幌 真駒内セキスイハイムアイスアリーナWESS011-614-9999
Sapporo Makomanai Sekisui Heim Ice ArenaWESS011-614-9999
Yokohama ArenaDisk Garage050-5533-0888
福岡 マリンメッセTSUKUSU092-771-9009
Fukuoka MarinemesseTSUKUSU092-771-9009
福井 サンドームキョードー北陸025-245-5100
Fukui SundomeKYODO Hokuriku025-245-5100
長野 ビッグハットキョードー北陸025-245-5100
Nagano Big HatKYODO Hokuriku 025-245-5100
宮城 セキスイハイムスーパーアリーナGIP022-222-9999
Miyagi Sekisui Heim Super ArenaGIP022-222-9999
新潟 朱鷺メッセキョードー北陸025-245-5100
Niigata Toki MesseKYODO Hokuriku025-245-5100
広島 グリーンアリーナ夢番地(広島)082-249-3571
Hiroshima Green ArenaYumebanchi (Hiroshima)082-249-3571
静岡 エコパアリーナキョードー東海052-972-7466
Shizuoka ECOPA ArenaKYODO Tokai052-972-7466
Osaka Jo HallYumebanchi06-6341-3525
東京 国立代々木競技場第一体育館ディスクガレージ050-5533-0888
== Materials data, kept here for reference ==
┌──
# 1
Diffraction record for ZnAgN. The powder diffraction line list is calculated, not measured: it uses a structure optimized by DFT (GGA-PBE) and λ = 1.5418 Å (Cu Kα).
Kinematic intensities with the Lorentz-polarization factor, no thermal factor.

Main lines, sorted by position (2θ = 5–70°):
- (0 0 1), 20.33 deg, intensity 2
- (1 0 0), 29.74 deg, intensity 47
- (1 0 1), 36.29 deg, intensity 100
- (0 0 2), 41.33 deg, intensity 20
- (1 0 2), 51.74 deg, intensity 18
- (1 1 0), 52.77 deg, intensity 28
- (1 1 1), 57.13 deg, intensity 1
- (2 0 0), 61.75 deg, intensity 5
- (2 0 1), 65.73 deg, intensity 17
- (1 1 2), 69.15 deg, intensity 24

```
data_ZnAgN
_chemical_formula_sum 'Zn1 Ag1 N1'
_space_group_name_H-M_alt 'P -6 m 2'
_space_group_IT_number 187
_space_group_name_Hall 'P -6 2'
_cell_length_a 3.4693
_cell_length_b 3.4693
_cell_length_c 4.3692
_cell_angle_alpha 90.00
_cell_angle_beta 90.00
_cell_angle_gamma 120.00
loop_
_atom_site_label
_atom_site_fract_x
_atom_site_fract_y
_atom_site_fract_z
Zn1 0.0000 0.0000 0.0000
Ag1 0.6667 0.3333 0.5000
N1 0.6667 0.3333 0.0000
```

---

# 2
Diffraction record for ZnAgN. The powder diffraction line list is calculated, not measured: it uses a structure optimized by DFT (GGA-PBE) and λ = 1.5418 Å (Cu Kα).
Kinematic intensities with the Lorentz-polarization factor, no thermal factor.

Main lines, sorted by position (2θ = 5–70°):
- (0 0 2), 27.54 deg, intensity 42
- (0 2 1), 28.66 deg, intensity 25
- (1 1 2), 32.17 deg, intensity 21
- (2 2 0), 32.95 deg, intensity 20
- (2 0 2), 34.92 deg, intensity 30
- (2 2 1), 35.83 deg, intensity 100
- (4 0 0), 42.85 deg, intensity 31
- (0 2 3), 49.39 deg, intensity 23
- (2 0 4), 61.31 deg, intensity 18
- (4 2 3), 67.42 deg, intensity 20

```
data_ZnAgN
_chemical_formula_sum 'Zn8 Ag8 N8'
_space_group_name_H-M_alt 'C m c e'
_space_group_IT_number 64
_space_group_name_Hall '-C 2ac 2'
_cell_length_a 8.4425
_cell_length_b 7.1059
_cell_length_c 6.4778
_cell_angle_alpha 90.00
_cell_angle_beta 90.00
_cell_angle_gamma 90.00
loop_
_atom_site_label
_atom_site_fract_x
_atom_site_fract_y
_atom_site_fract_z
Zn1 0.0000 0.1658 0.1280
Ag1 0.2500 0.0937 0.7500
N1 0.0000 0.1238 0.8222
```

---

What did the first record say?
Diffraction record for ZnAgN. The powder diffraction line list is calculated, not measured: it uses a structure optimized by DFT (GGA-PBE) and λ = 1.5418 Å (Cu Kα).
Kinematic intensities with the Lorentz-polarization factor, no thermal factor.

Main lines, sorted by position (2θ = 5–70°):
- (0 0 1), 20.33 deg, intensity 2
- (1 0 0), 29.74 deg, intensity 47
- (1 0 1), 36.29 deg, intensity 100
- (0 0 2), 41.33 deg, intensity 20
- (1 0 2), 51.74 deg, intensity 18
- (1 1 0), 52.77 deg, intensity 28
- (1 1 1), 57.13 deg, intensity 1
- (2 0 0), 61.75 deg, intensity 5
- (2 0 1), 65.73 deg, intensity 17
- (1 1 2), 69.15 deg, intensity 24

```
data_ZnAgN
_chemical_formula_sum 'Zn1 Ag1 N1'
_space_group_name_H-M_alt 'P -6 m 2'
_space_group_IT_number 187
_space_group_name_Hall 'P -6 2'
└──
== Here the article continues ==
TOkyo Yoyogi National Gymnasium The 1st National Gymnasium Disk Garage050-5533-0888
I bought this machine about a month ago, but as per attached, the main machine display is defected due to the contact failure of the body head.As I tried with the other backup machine with the normal head, it shows properly.This therefore is not a failure of the main machine.Since it has only been a month, please send me the body head to the below address as a replacement.
名古屋 日本ガイシホールキョードー東海052-972-7466予定全席指定席:7,800円ファミリーシート:7,800円
What comes next are calculated crystals, not part of the page
'''
Simulated PXRD pattern
Compound: HfTlWO6
Radiation: Cu Kα X-rays
Structure: DFT lattice parameters and positions (PBE+U)
No peak broadening, texture or thermal motion is included.

Top 10 peaks for 2θ = 15–90°, by intensity:
25.53 deg, I = 100, (1 0 1); 32.92 deg, I = 47, (1 1 0); 48.46 deg, I = 43, (2 -1 2); 54.46 deg, I = 25, (3 -1 1); 42.12 deg, I = 25, (2 0 1); 58.79 deg, I = 13, (3 0 0); 34.54 deg, I = 12, (0 0 2); 70.01 deg, I = 11, (3 0 2); 56.65 deg, I = 11, (1 0 3); 17.07 deg, I = 10, (0 0 1)

Cell and atoms:
a b c (Å): 5.4411 5.4411 5.1933
angles (deg): 90.00 90.00 120.00
Atoms (fractional coordinates):
Hf: 0.0000 0.0000 0.0000
Tl: 0.6667 0.3333 0.5000
W: 0.3333 0.6667 0.0000
O: 0.0549 0.3504 0.2101
O: 0.0549 0.7045 0.7899
O: 0.2955 0.3504 0.7899
O: 0.2955 0.9451 0.2101
O: 0.6496 0.7045 0.2101
O: 0.6496 0.9451 0.7899

----------

Record 1
Ce2MgSi4: theoretical powder diffraction line list (a wavelength of 1.5418 Å), based on a structure optimized by DFT (PBE).

Crystal structure
```
data_Ce2MgSi4
_chemical_formula_sum 'Ce8 Mg4 Si16'
_symmetry_space_group_name_H-M 'P 1'
_symmetry_Int_Tables_number 1
_symmetry_space_group_name_Hall 'P 1'
_cell_length_a 17.7926
_cell_length_b 17.7926
_cell_length_c 17.7926
_cell_angle_alpha 160.75
_cell_angle_beta 160.75
_cell_angle_gamma 27.36
loop_
_atom_site_label
_atom_site_type_symbol
_atom_site_fract_x
_atom_site_fract_y
_atom_site_fract_z
Ce1 Ce 0.1722 0.1759 0.5037
Ce2 Ce 0.1722 0.6685 0.9963
Ce3 Ce 0.1759 0.1722 0.0037
Ce4 Ce 0.3315 0.8278 0.5037
Ce5 Ce 0.6685 0.1722 0.4963
Ce6 Ce 0.8241 0.8278 0.9963
Ce7 Ce 0.8278 0.3315 0.0037
Ce8 Ce 0.8278 0.8241 0.4963
Mg1 Mg 0.0000 0.5000 0.5000
Mg2 Mg 0.5000 0.0000 0.0000
Mg3 Mg 0.5000 0.5000 0.0000
Mg4 Mg 0.5000 0.5000 0.5000
Si1 Si 0.1178 0.6389 0.4789
Si2 Si 0.1581 0.7067 0.4514
Si3 Si 0.2446 0.2933 0.9514
Si4 Si 0.2933 0.2446 0.4514
Si5 Si 0.2933 0.8419 0.0486
Si6 Si 0.3401 0.3611 0.9789
Si7 Si 0.3611 0.3401 0.4789
Si8 Si 0.3611 0.8822 0.0211
Si9 Si 0.6389 0.1178 0.9789
Si10 Si 0.6389 0.6599 0.5211
Si11 Si 0.6599 0.6389 0.0211
Si12 Si 0.7067 0.1581 0.9514
Si13 Si 0.7067 0.7554 0.5486
Si14 Si 0.7554 0.7067 0.0486
Si15 Si 0.8419 0.2933 0.5486
Si16 Si 0.8822 0.3611 0.5211
```

Top 8 peaks for 15° ≤ 2θ ≤ 90°, low angle first:
- 16.8 deg, 5.288 Å, I 50
- 20.6 deg, 4.322 Å, I 21
- 27.6 deg, 3.228 Å, I 44
- 30.5 deg, 2.932 Å, I 42
- 33.9 deg, 2.644 Å, I 100
- 34.6 deg, 2.593 Å, I 23
- 41.3 deg, 2.188 Å, I 27
- 43.0 deg, 2.104 Å, I 39

---

Record 2
BaHIO: theoretical powder diffraction line list (a wavelength of 1.5418 Å), based on a structure optimized by DFT (PBE).

Crystal structure
```
data_BaHIO
_chemical_formula_sum 'Ba4 H4 I4 O4'
_symmetry_space_group_name_H-M 'P 1'
_symmetry_Int_Tables_number 1
_symmetry_space_group_name_Hall 'P 1'
_cell_length_a 8.1353
_cell_length_b 4.5592
_cell_length_c 11.2234
_cell_angle_alpha 90.00
_cell_angle_beta 90.00
_cell_angle_gamma 90.00
loop_
_atom_site_label
_atom_site_type_symbol
_atom_site_fract_x
_atom_site_fract_y
'''
Nagoya Nippon Gaishi HallKYODO Tokai052-972-7466TBDReserved seat: JPY 7,800Family seat: JPY 7,800
AAA ARENA TOUR 2014 -Gold Symphony-一般発売のチケット購入に関してはこちら!【ぴあ】
AAA ARENA TOUR 2014 -Gold Symphony-Check below for the ticket purchase of a general ticket!【PIA】